For the leaders of organisation there are two levels at which workplace stress must be addressed. Firstly at corporate, strategic level, where a degree of stress is inevitable, given the pace and frequency of change that businesses of all kinds are experiencing today. Political, economic, environmental, social, and technological changes combine to make it essential that the organisation is equipped to respond to or, better, to forecast and prepare for change. The need to manage change successfully adds to the complexities and pressures facing the leaders of the organisation. Secondly, at the operational levels stress which affects the managers and operational staff can be caused by many factors, not least the behaviour of the operational managers themselves.
## Crystal structures that have nothing to do with the text
'''
An optimized crystal structure of Nb3NiS6, computed with PBE.

Unit cell a=5.7911 b=5.7911 c=11.8547 alpha=90.00 beta=90.00 gamma=120.00
With the nearest neighbours (Å) after each atom.
Element x y z (fractional)
S (0.3327, 0.0009, 0.8675)  1 Ni 2.38, 3 Nb 2.47-2.51
Nb (0.0000, 0.0000, 0.5000)  6 S 2.48
Ni (0.6667, 0.3333, 0.7500)  6 S 2.38
S (0.6673, 0.6682, 0.1325)  1 Ni 2.38, 3 Nb 2.47-2.51
S (0.3327, 0.3318, 0.6325)  1 Ni 2.38, 3 Nb 2.47-2.51
Nb (0.0000, 0.0000, 0.0000)  6 S 2.48
S (0.3318, 0.3327, 0.3675)  1 Ni 2.38, 3 Nb 2.47-2.51
S (0.0009, 0.6682, 0.3675)  1 Ni 2.38, 3 Nb 2.47-2.51
Nb (0.6667, 0.3333, 0.4969)  6 S 2.47-2.51
S (0.6673, 0.9991, 0.3675)  1 Ni 2.38, 3 Nb 2.47-2.51
Ni (0.3333, 0.6667, 0.2500)  6 S 2.38
S (0.6682, 0.6673, 0.8675)  1 Ni 2.38, 3 Nb 2.47-2.51
S (0.0009, 0.3327, 0.1325)  1 Ni 2.38, 3 Nb 2.47-2.51
S (0.9991, 0.3318, 0.8675)  1 Ni 2.38, 3 Nb 2.47-2.51
S (0.3318, 0.9991, 0.1325)  1 Ni 2.38, 3 Nb 2.47-2.51
Nb (0.6667, 0.3333, 0.0031)  6 S 2.47-2.51
S (0.9991, 0.6673, 0.6325)  1 Ni 2.38, 3 Nb 2.47-2.51
Nb (0.3333, 0.6667, 0.9969)  6 S 2.47-2.51
S (0.6682, 0.0009, 0.6325)  1 Ni 2.38, 3 Nb 2.47-2.51
Nb (0.3333, 0.6667, 0.5031)  6 S 2.47-2.51

Calculated values
Energy of formation from the pure elements: -1.282 eV/atom
Energy with MP2020 corrections: -7.37 eV/atom
'''
## So much for the crystal structures
However, the leaders of the organisation are responsible for the way in which the organisation responds to the threat of negative stress, at both strategic and operational levels. In fact, it is often the behaviour, the actions, the style of the leader(s) that causes the stress. Some of the most common areas in which the negative behaviour of the leader(s) can cause stress are described below.
Successful leaders ensure that their organisations are appropriately resourced. The needs of the organisation’s strategic objectives are assessed and funds are allocated and activity planned to deliver the necessary resources as and when required. Human resources, physical resources, technological resources, funds, systems, should all be in place or planned for. A monitoring and control process should be in place to respond to the need for changes to the plans. If these processed are not followed, then wherever the plans reach a point where the necessary resources are missing, or incomplete, the stress levels of managers and their teams will rise, as they attempt to achieve the set objectives with inadequate resources. As in most situations where the actions of the leader(s) have lead to problems or difficulties, it is the operational level people who are the first to suffer. However, ultimately it is the organisation that is damaged, through the direct repercussions of the initial mistakes causing problems in areas such as sales or customer satisfaction, and then again from the problems caused by the increase in negative stress levels.
In any organisation one of the most common sources of conflict, dispute, and ensuing personal distress, are the related issues of equality of opportunity, diversity, and discrimination. The leader(s) of the organisation must ensure that the culture of the organisation and the actions of individuals supports equality of opportunity and diversity and prevents discrimination of any kind. Effective leaders do this by: making equality, diversity, and prevention of discrimination an essential, high profile element of the organisation’s strategies and objectives; ensuring that all staff are familiar with the organisation’s policies in this area and that they understand their personal responsibilities in complying with the policy; ensuring that the organisational structure and processes are receptive to the different needs and abilities of a diverse workforce; implementing a rigorous monitoring and control process to identify and deal with any breaches of the policies; dealing ruthlessly with any employee, of any status, should they act in an unfair of discriminatory manner. Leaders who do not give strong, visible, leadership in these areas will be risking considerable damage being done. Without strong leadership there is a grave danger of discrimination and unfairness happening, not just at operational levels but also at the executive level. Managers behaving unfairly or in a discriminatory way, or not dealing with such behaviour in others, are the cause of considerable negative stress. The repercussions of these unacceptable actions can include personal distress, the break-up of teams, the collapse of projects, internal disciplinary action, industrial tribunals or civil court action, and leave a climate of hostility, blame, conflict, and unhappiness. The impact in terms of negative stress being generated is enormous. Effective leaders prevent such disastrous repercussions, by ensuring that promote, support, and insist on fairness and equality towards all.
One of the key responsibilities of the leaders of organisations, indeed in some cases a legal requirement in itself, is to ensure that the organisation complies with relevant legislation and regulations. Effective leaders do this by: monitoring the legal and regulatory environment to identify where the organisation must comply; developing, implementing and maintaining effective policies and procedures to ensure that the organisation meets all legal and regulatory requirements; making certain that relevant people are aware of the policies and procedures and their responsibilities in maintaining them; implementing a monitoring, control, and corrective action system to maintain compliance; providing appropriate resources for operational managers to carry out the policies effectively. Leaders who do not take this responsibility seriously will create opportunities for inadvertent and deliberate non-compliance. The pressures caused by this flawed approach will be felt most by individual operational managers. It is these managers who will be faced with the repercussions of non-compliance, particularly in areas such as health and safety, recruitment and selection, accounting and finance, equal opportunities and discrimination. For these managers, and by default the operational staff, one of the results will be increased negative stress levels.
The most visible role of the leader(s) is, by default, to lead the organisation into the future. This means planning and managing desired changes, whilst also responding to external forces of change. The manner in which the leader approaches this can influence the response to the changes by the organisation’s managers and employees, which in turn affects the levels of stress caused by the changes. Ways in which to lead change successfully are well documented. To lead change in a manner that will lead to negative stress being generated would need the leader(s) to: not communicate their vision of the future (or worse, not to have a vision); to actively of passively discourage consultation and participation in the change planning process; not give individuals clear information on their roles and responsibilities in implementing changes; denying individuals the influence and authority they need to successfully implement and manage change in their area; set objectives which are unachievable; make no effort to provide resources and support for the removal of barriers to change; not provide information on the progress of change activity; not to reward successful change implementation. The result of such negative behaviour would be to create delays, misunderstanding, tension, uncertainty, and conflicts, and would seriously damage the chances of the change being implemented successfully. The change process raise the negative stress levels of those implementing, or directly affected by the change. Unsuccessful change would inevitably have other negative impacts on the organisation, which in turn would potentially cause more stress.
Effective leaders cultivate and develop a culture that is positive, ethical, and value driven, in order to support the organisation’s strategies. The personal actions and behaviour of the leader(s) and the management of the organisation should reinforce this. Agreed values are communicated across the organisation and people are encouraged to pursue these cultural objectives as rigorously as the operational objectives. The condition of the organisation’s culture is monitored and corrected as required to maintain the set values. Poor leaders do not view developing a positive culture as important, pursuing instead only the profit-related objectives. Under such leadership the organisation will deteriorate, and managers and staff will have no guidance as to how to behave professionally and ethically. One by product of this will be that unethical practices will flourish and levels of trust and openness will diminish. Conflict and disagreement will grow. In such a climate it is inevitable that an increase in negative stress will occur, as motivation and morale levels fall.
The role of the leader is, of course, to lead, but to lead in a way which represents the values and mission of the organisation. In areas such as ethics, equality of opportunity, non-discrimination, fairness and openness, the leader(s) must also take on the mantle of acting as a role model for others in the organisation. Positive leaders will ensure that managers throughout the organisation are properly trained in management skills and undertake continuous development, that innovation and creativity is encouraged. Strong leaders will ensure that managers or staff who behave inappropriately in contradiction of the values of the organisation will be removed. Leaders who do not lead in these ways will confuse and dismay others in the organisation. Without strong, value driven leadership, the organisation is as a ship without a captain, drifting at sea, at the mercy of the winds and the tides. The chances of the organisation not running into difficulties will be slim. In such an organisation stress levels will rise and the ensuing damage will add to the organisation’s difficulties.
It is clear that the leader(s) of organisations have enormous influence on the culture, the values, the behaviour, of individuals, teams, managers, and the corporate body itself. It is also the case that poor or inappropriate leadership behaviour will damage the organisation. Until now this has not been linked to the amount of negative stress that is generated within an organisation. But it is equally clear that poor, unfocused, unethical, or weak leadership will cause serious damage to the organisation, both directly in terms of the consequences of poor decision making, or indirectly due to the repercussions of increases in negative stress levels in individuals within the organisation. It is no longer sufficient to assess the success of a leader by evaluating visible success factors only. The effect on stress levels, caused by the style of leadership and the actions of the leader, should also be taken into consideration. The behaviour and actions of an effective leader will reduce stress levels and generate a positive, productive, healthy workplace. The behaviour and actions of a poor leader will do the opposite and increase negative stress levels and create an unhealthy and unproductive workplace. Those with responsibility for the success of the organisation must ensure that the leader is one that produces a positive, healthy, productive organisation. Without such a leader the organisation will fail to achieve its objectives, decline, and die.

Tim has background as is business psychologist and work sociologist with expertise in building organisations and teams to solve problems for the future. Tim has expertise in technology and the symbiosis between human interaction and technology in operational processes.